K2’s center field at Kirtsis Park was home to games, a dunk tank, bounce house, citizens, police, fire, medical and military personnel from 5-7 p.m. Tuesday, Aug. 7, for the first-ever Lincoln City National Night Out (NNO) in the name of neighborhood camaraderie.
Lincoln City National Night Out 2018
Lincoln City National Night Out was the “best fun all year,” according to children close to the matter.
Materials data, kept here for reference:
+++
Structure and theoretical X-ray powder pattern of LaThCu2 (the PBE geometry in Alexandria; Cu Kα, 1.54184 Å).
Peak positions follow from Bragg's law for the DFT cell and can differ from measured ones.

Peak list (8 most intense, 2θ = 15–90°, in order of rising 2θ)
h k l  d/Å  intensity
0 1 1  3.473  91
0 0 2  2.882  48
1 1 0  2.789  97
1 1 -1  2.774  100
1 0 1  2.727  57
1 0 -2  2.684  55
0 1 2  2.403  56
0 2 0  2.176  52

Structural model:
Cell lengths 3.809, 4.353, 6.042 Å; angles 90.00, 107.46, 90.00 degrees
Space group Pm (No. 6)
Unique sites:
La  0.000  0.000  0.000 x1
Th  0.714  0.500  0.419 x1
Cu  0.287  0.000  0.567 x1
Cu  0.415  0.500  0.825 x1

----------

Diffraction record for PmAlZn2Ni2. The powder diffractogram is calculated, not measured: it uses the GGA-PBE geometry in Alexandria and CuKα.

Crystal structure
Lattice parameters (Å, degrees): 4.3593 4.3593 5.6988 90.00 90.00 90.00
Space group P4/mmm (No. 123)
Unique sites:
1 Pm 0.0000 0.0000 0.0000 (multiplicity 1)
2 Al 0.0000 0.0000 0.5000 (multiplicity 1)
3 Zn 0.5000 0.5000 0.2498 (multiplicity 2)
4 Ni 0.0000 0.5000 0.5000 (multiplicity 2)

Most intense lines, 2θ from 5° to 70°, in order of rising 2θ:
(hkl)	Position (°2θ)	intensity
1 0 1	25.73	38
1 1 0	28.97	35
0 0 2	31.39	11
1 1 1	33.04	90
1 0 2	37.72	100
2 0 0	41.43	76
2 1 1	49.41	13
2 0 2	52.89	10
1 1 3	56.94	18
2 1 2	57.26	58
2 2 0	60.02	24
0 0 4	65.52	9

Diffraction record for PrAl9Ni2. The powder diffractogram is calculated, not measured: it uses the GGA-PBE geometry in Alexandria and CuKα.

Crystal structure
Lattice parameters (Å, degrees): 10.5669 10.5669 7.0499 90.00 90.00 90.00
Space group I4_1/amd (No. 141, origin choice 2)
Unique sites:
1 Pr 0.0000 0.2500 0.3750 (multiplicity 4)
2 Al 0.0000 0.2500 0.8750 (multiplicity 4)
3 Al 0.1230 0.0508 0.6887 (multiplicity 32)
4 Ni 0.0000 0.0000 0.0000 (multiplicity 8)

Most intense lines, 2θ from 5° to 70°, in order of rising 2θ:
(hkl)	Position (°2θ)	intensity
2 0 0	16.78	22
2 1 1	22.65	100
1 1 2	27.99	36
3 2 1	33.10	76
4 0 0	33.93	30
3 1 2	37.07	99
4 2 0	38.09	58
1 0 3	39.28	43
4 2 2	46.26	36
5 2 1	48.14	25
2 2 4	57.85	23
5 5 2	68.16	24

Diffraction record for Pr2Al6Ni3. The powder diffractogram is calculated, not measured: it uses the GGA-PBE geometry in Alexandria and CuKα.

Crystal structure
Lattice parameters (Å, degrees): 7.5726 7.5726 4.1068 90.00 90.00 120.00
Space group P-62m (No. 189)
Unique sites:
1 Pr 0.3333 0.6667 0.0000 (multiplicity 2)
2 Al 0.0000 0.2983 0.5000 (multiplicity 3)
3 Al 0.0000 0.7982 0.0000 (multiplicity 3)
4 Ni 0.0000 0.6344 0.5000 (multiplicity 3)

Most intense lines, 2θ from 5° to 70°, in order of rising 2θ:
(hkl)	Position (°2θ)	intensity
1 0 0	13.50	25
1 1 0	23.50	24
1 0 1	25.59	8
1 1 1	32.15	100
2 0 1	35.02	17
2 1 0	36.24	14
3 0 0	41.30	38
2 1 1	42.60	26
0 0 2	44.10	16
2 2 1	53.28	21
3 0 2	62.01	22
4 1 1	69.57	23
+++
Posted by Lincoln City Homepage on Tuesday, August 7, 2018
National Night Out is an annual community-building campaign that promotes police-community partnerships and neighborhood camaraderie to make our neighborhoods safer, more caring places to live. National Night Out enhances the relationship between neighbors and law enforcement while bringing back a true sense of community. Furthermore, it provides a great opportunity to bring police and neighbors together under positive circumstances.
Master of ceremonies and event organizer Boone Marker manned the microphone, announcing events when he wasn’t secretly collapsing the dunk-tank seat. Marker had the idea and the Lincoln City Community Center hosted the event.

### Unrelated to this piece: records of crystals
+++
Rh3Cl: calculated powder XRD pattern (Cu Kα), based on a structure optimized by DFT (PBE).
Intensities are scaled so that the largest is 100.

Crystal structure
Cell lengths 4.6449, 4.6449, 2.7915 Å; angles 90.00, 90.00, 97.40 degrees
Sites, in units of the cell vectors:
Rh (0.0000, 0.0000, 0.0000)
Rh (0.0000, 0.5000, 0.5000)
Rh (0.5000, 0.0000, 0.5000)
Cl (0.5000, 0.5000, 0.0000)

Main lines, sorted by position (2θ from 10° to 90°):
- 19.3°, d = 4.606 Å, rel. 23
- 39.1°, d = 2.303 Å, rel. 100
- 41.4°, d = 2.180 Å, rel. 88
- 43.9°, d = 2.064 Å, rel. 72
- 52.4°, d = 1.745 Å, rel. 21
- 60.4°, d = 1.533 Å, rel. 13
- 70.7°, d = 1.332 Å, rel. 33
- 75.9°, d = 1.254 Å, rel. 27
- 80.5°, d = 1.194 Å, rel. 23
- 84.0°, d = 1.152 Å, rel. 11
+++
Lincoln City Police Department officers mingled with citizens, played soccer and gave a tour of a police cruiser. North Lincoln Fire & Rescue (NLFR) handed out fire safety information and goodies bags to the kids. The Oregon Army National Guard set up a mobile rock-climbing wall.
One of the biggest attractions was the dunk tank, where for $1, kids and adults threw softballs at a target to submerge willing volunteers, such as Mayor Don Williams, Chief of Police Jerry Palmer and local celebrity Heather Hatton. For $5, contestants were allowed to push the target, guaranteeing a dunk. The dunk tank and corresponding raffle raised money for the Parks & Recreation Youth Scholarship Fund.

Lincoln City band Schroondonk provided live music and was considered “great” by many event-goers. The band played a full set, including Sublime’s “What I Got,” which had kids and adults dancing.
Mayoral candidates David Dahle and Susan Wahlke were in attendance, along with City Council hopeful Mitch Parsons, and current City Councilors Diana Hinton, Dick Anderson and Riley Hoagland. Dahle conducted an interview with Parsons at the event.
Mitch Parsons, Lincoln City Council Candidate for Ward One interview with David Dahle of Lincoln City TV at Kirtsis Field for National NIght Out
Posted by Lincoln City TV on Tuesday, August 7, 2018
Younger children climbed up an inflatable rock-climb slide and jumped around inside the bounce house to the smiles of onlooking parents.
Fruity the Clown (Kathy Santos) made balloon animals on request, such as swords, flowers and a dog on a leash. All the kids seemed to have visited her, as balloon animals could be seen in the hands of virtually every child.
“I like to see children smiling and having fun,” Santos said.
-- Records of crystals, kept here for reference --
~~~
The following is a computed PXRD pattern of Ba3PuS5. It was derived from a cell relaxed with GGA-PBE, using a wavelength of 1.5418 Å.

Principal peaks in the range 10° ≤ 2θ ≤ 90°, in order of rising 2θ:
- 14.6 deg, d 6.063, intensity 22
- 23.5 deg, d 3.780, intensity 34
- 23.9 deg, d 3.727, intensity 100
- 29.3 deg, d 3.052, intensity 48
- 29.5 deg, d 3.031, intensity 30
- 31.6 deg, d 2.835, intensity 25
- 35.2 deg, d 2.552, intensity 22
- 38.1 deg, d 2.365, intensity 25
- 41.6 deg, d 2.172, intensity 25
- 43.9 deg, d 2.062, intensity 23

Crystal structure
```
18
Lattice="-4.287 4.287 7.559 4.287 -4.287 7.559 4.287 4.287 -7.559" Properties=species:S:1:pos:R:3 pbc="T T T"
Ba 5.670 1.383 0.000
Ba 0.000 0.000 3.780
Ba 1.383 2.904 0.000
Ba 2.904 1.383 7.559
Ba 0.000 0.000 11.339
Ba -1.383 2.904 7.559
Pu 4.287 0.000 3.780
Pu 0.000 4.287 3.780
S 0.000 0.000 0.000
S 2.908 1.379 -2.178
S 2.908 -1.379 5.382
S 2.908 1.379 2.178
S 2.908 -1.379 9.737
S 0.000 0.000 7.559
S 1.379 5.666 -2.178
S 1.379 2.908 5.382
S 1.379 5.666 2.178
S 1.379 2.908 9.737
```

---

The following is a computed PXRD pattern of Ba2Pu3S8. It was derived from a cell relaxed with GGA-PBE, using a wavelength of 1.5418 Å.

Principal peaks in the range 10° ≤ 2θ ≤ 90°, in order of rising 2θ:
- 12.2 deg, d 7.252, intensity 100
- 24.6 deg, d 3.623, intensity 47
- 25.4 deg, d 3.513, intensity 72
- 27.5 deg, d 3.240, intensity 22
- 30.9 deg, d 2.898, intensity 52
- 35.0 deg, d 2.562, intensity 21
- 39.8 deg, d 2.264, intensity 31
- 43.3 deg, d 2.091, intensity 41
- 45.1 deg, d 2.009, intensity 29
- 50.4 deg, d 1.811, intensity 22

Crystal structure
```
26
Lattice="8.363 0.000 0.000 -4.181 7.243 0.000 0.000 0.000 14.504" Properties=species:S:1:pos:R:3 pbc="T T T"
Ba 0.000 4.828 0.000
Ba 0.000 4.828 4.276
Ba 4.181 2.414 7.252
Ba 4.181 2.414 11.528
Pu 0.000 2.427 10.519
Pu -2.080 6.029 10.519
Pu 2.101 1.213 3.267
Pu 2.080 6.029 10.519
Pu 6.261 1.213 3.267
Pu 4.181 4.816 3.267
S 0.000 0.000 4.540
S 0.000 0.000 11.792
S -1.685 3.855 12.048
S 0.000 2.407 2.085
S -2.097 6.039 2.085
S 2.084 1.203 9.336
S 0.000 4.828 9.166
S 1.685 3.855 12.048
S 0.000 6.775 12.048
S 4.181 0.468 4.796
S 2.496 3.387 4.796
S 4.181 2.414 1.914
S 2.097 6.039 2.085
S 6.279 1.203 9.336
S 4.181 4.836 9.336
S 5.867 3.387 4.796
```

---

The following is a computed PXRD pattern of Ba2SmPuS6. It was derived from a cell relaxed with GGA-PBE, using a wavelength of 1.5418 Å.

Principal peaks in the range 10° ≤ 2θ ≤ 90°, in order of rising 2θ:
- 17.0 deg, d 5.213, intensity 18
- 23.6 deg, d 3.765, intensity 23
- 24.2 deg, d 3.684, intensity 100
- 24.6 deg, d 3.619, intensity 24
- 34.4 deg, d 2.609, intensity 31
- 34.5 deg, d 2.600, intensity 19
- 41.9 deg, d 2.158, intensity 16
- 42.8 deg, d 2.112, intensity 14
- 43.0 deg, d 2.102, intensity 29
- 49.5 deg, d 1.842, intensity 19

Crystal structure
```
20
Lattice="7.238 0.000 0.000 0.000 7.530 0.000 -7.216 0.000 10.401" Properties=species:S:1:pos:R:3 pbc="T T T"
Ba -0.119 0.469 2.603
~~~
NW Natural, Sysco Foods, Chinook Winds Casino Resort, and Kenny’s IGA provided hot dogs, chips, watermelon, cookies and soda for hungry participants, and Driftwood Public Library, American Red Cross, Cub Scouts and Girl Scouts had booths set up to share information.
Raffle prizes were donated from numerous local businesses. Bijou Theatre, Eleanor’s Undertow, Hwy 101 Burger, Mo’s, Salishan Spa & Golf Resort, Kyllo’s, Black Squid Beer House, Thai Bay, Autobahn 101, My Petite Sweet, Granny’s Attic, Beach Club & Event Center, Game Over, LuLaRoe and the Lincoln City Community Center all donated prizes.
The event was deemed a success by many individuals Homepage spoke with.
“This is such a great event,” Lincoln City resident Debbie Donner said. “Our grand daughter loves it. This is just wonderful.”